# Exercise
The reader should type out everything underneath verbatim.

# Data
┌──
Computed powder diffraction line list of FeCo7 for copper Kα, from a structure optimized by DFT (GGA-PBE).

Largest 6 diffraction maxima, by angle, 2θ = 10–80°:
d_spacing	Position (°2θ)	Rel. int.
2.115	42.76	1
2.003	45.27	25
1.991	45.56	100
1.981	45.79	26
1.624	56.68	1
1.408	66.39	22

Structural model:
a = 8.372 Å, b = 8.372 Å, c = 8.372 Å
α = 160.65°, β = 152.62°, γ = 33.75°
Atoms (fractional coordinates):
Fe1 0.000 0.000 0.000
Co1 0.121 0.621 0.500
Co2 0.244 0.244 0.000
Co3 0.370 0.870 0.500
Co4 0.500 0.500 0.000
Co5 0.630 0.130 0.500
Co6 0.756 0.756 0.000
Co7 0.879 0.379 0.500


(1)
# DyErGa4Ir2
Calculated powder diffraction line list, CuKα. Input: a crystal structure in OQMD, relaxed with PBE.
Neutral-atom scattering factors, no anomalous dispersion.

Cell and atoms:
```
DyErGa4Ir2
1.0
4.164 0.000 0.000
0.000 7.068 0.000
-2.072 0.000 5.049
Dy Er Ga Ir
1 1 4 2
Cartesian
0.000 0.000 0.000
2.087 3.534 3.614
0.009 1.410 2.889
0.009 5.658 2.889
2.077 2.135 0.731
2.077 4.933 0.731
-0.005 3.534 1.442
2.091 0.000 2.171
```

The 6 most intense peaks (2θ = 15–90°), in order of falling intensity:
2θ/deg	I (rel.)
36.61	100
34.45	77
37.84	47
43.47	36
25.20	34
45.12	23


(2)
# Cu3As
Calculated powder diffraction line list, CuKα. Input: a crystal structure in OQMD, relaxed with PBE.
Neutral-atom scattering factors, no anomalous dispersion.

Cell and atoms:
```
Cu3As
1.0
-4.810 4.810 4.810
4.810 -4.810 4.810
4.810 4.810 -4.810
Cu As
24 8
Cartesian
7.490 -0.595 1.260
1.810 -0.276 1.145
5.405 -1.260 2.681
1.145 1.810 -0.276
4.534 3.665 -1.810
3.665 1.810 0.276
3.665 -1.810 4.534
-0.276 1.145 1.810
5.955 3.000 0.276
5.405 1.260 2.129
1.810 0.276 3.665
2.681 5.405 -1.260
0.276 3.665 1.810
4.215 3.550 2.129
3.000 0.276 5.955
3.550 2.129 4.215
2.129 5.405 1.260
1.260 7.490 -0.595
1.260 2.129 5.405
2.129 4.215 3.550
-1.260 2.681 5.405
-1.810 4.534 3.665
-0.595 1.260 7.490
0.276 5.955 3.000
2.696 2.114 -2.114
5.101 -0.291 0.291
2.114 -2.114 2.696
2.114 2.114 2.114
-2.114 2.696 2.114
0.291 5.101 -0.291
-0.291 0.291 5.101
4.519 4.519 4.519
```

The 6 most intense peaks (2θ = 15–90°), in order of falling intensity:
2θ/deg	I (rel.)
44.16	100
48.24	86
46.23	52
42.00	48
72.16	25
29.36	24


(3)
# DyHf2P3
Calculated powder diffraction line list, CuKα. Input: a crystal structure in OQMD, relaxed with PBE.
Neutral-atom scattering factors, no anomalous dispersion.

Cell and atoms:
```
DyHf2P3
1.0
3.789 0.000 0.000
-1.895 3.282 0.000
0.000 0.000 9.281
Dy Hf P
1 2 3
Cartesian
0.000 0.000 0.000
0.000 2.188 3.184
1.895 1.094 6.097
0.000 0.000 4.640
0.000 2.188 7.587
1.895 1.094 1.693
```

The 6 most intense peaks (2θ = 15–90°), in order of falling intensity:
2θ/deg	I (rel.)
33.44	100
28.86	93
48.02	71
57.00	44
80.09	31
89.63	24


(4)
# Li4Zn2NiPd
Calculated powder diffraction line list, CuKα. Input: a crystal structure in OQMD, relaxed with PBE.
Neutral-atom scattering factors, no anomalous dispersion.

Cell and atoms:
```
Li4Zn2NiPd
1.0
4.212 0.000 0.000
0.000 4.212 0.000
0.000 0.000 5.953
Li Zn Ni Pd
4 2 1 1
Cartesian
0.000 0.000 0.000
0.000 2.106 1.457
2.106 0.000 4.497
2.106 2.106 2.977
0.000 2.106 4.555
2.106 0.000 1.398
2.106 2.106 0.000
0.000 0.000 2.977
```

The 6 most intense peaks (2θ = 15–90°), in order of falling intensity:
2θ/deg	I (rel.)
25.91	100
42.95	97
50.85	45
78.72	29
68.70	17
62.37	15


(5)
# Sn4Ir3S
Calculated powder diffraction line list, CuKα. Input: a crystal structure in OQMD, relaxed with PBE.
Neutral-atom scattering factors, no anomalous dispersion.

Cell and atoms:
```
Sn4Ir3S
1.0
3.571 0.000 0.000
0.000 4.231 0.000
-0.009 0.000 10.191
Sn Ir S
4 3 1
Cartesian
0.000 0.000 0.000
0.018 2.116 2.466
0.039 2.116 7.732
1.911 0.000 5.104
1.731 2.116 0.002
1.830 0.000 2.156
1.845 0.000 8.038
0.156 2.116 5.094
```

The 6 most intense peaks (2θ = 15–90°), in order of falling intensity:
2θ/deg	I (rel.)
37.38	100
42.49	73
35.22	46
42.74	38
34.01	31
32.82	29


(6)
# LiYSnPd
└──

# Written answer
Computed powder diffraction line list of FeCo7 for copper Kα, from a structure optimized by DFT (GGA-PBE).

Largest 6 diffraction maxima, by angle, 2θ = 10–80°:
d_spacing	Position (°2θ)	Rel. int.
2.115	42.76	1
2.003	45.27	25
1.991	45.56	100
1.981	45.79	26
1.624	56.68	1
1.408	66.39	22

Structural model:
a = 8.372 Å, b = 8.372 Å, c = 8.372 Å
α = 160.65°, β = 152.62°, γ = 33.75°
Atoms (fractional coordinates):
Fe1 0.000 0.000 0.000
Co1 0.121 0.621 0.500
Co2 0.244 0.244 0.000
Co3 0.370 0.870 0.500
Co4 0.500 0.500 0.000
Co5 0.630 0.130 0.500
Co6 0.756 0.756 0.000
Co7 0.879 0.379 0.500


(1)
# DyErGa4Ir2
Calculated powder diffraction line list, CuKα. Input: a crystal structure in OQMD, relaxed with PBE.
Neutral-atom scattering factors, no anomalous dispersion.

Cell and atoms:
```
DyErGa4Ir2
1.0
4.164 0.000 0.000
0.000 7.068 0.000
-2.072 0.000 5.049
Dy Er Ga Ir
1 1 4 2
Cartesian
0.000 0.000 0.000
2.087 3.534 3.614
0.009 1.410 2.889
0.009 5.658 2.889
2.077 2.135 0.731
2.077 4.933 0.731
-0.005 3.534 1.442
2.091 0.000 2.171
```

The 6 most intense peaks (2θ = 15–90°), in order of falling intensity:
2θ/deg	I (rel.)
36.61	100
34.45	77
37.84	47
43.47	36
25.20	34
45.12	23


(2)
# Cu3As
Calculated powder diffraction line list, CuKα. Input: a crystal structure in OQMD, relaxed with PBE.
Neutral-atom scattering factors, no anomalous dispersion.

Cell and atoms:
```
Cu3As
1.0
-4.810 4.810 4.810
4.810 -4.810 4.810
4.810 4.810 -4.810
Cu As
24 8
Cartesian
7.490 -0.595 1.260
1.810 -0.276 1.145
5.405 -1.260 2.681
1.145 1.810 -0.276
4.534 3.665 -1.810
3.665 1.810 0.276
3.665 -1.810 4.534
-0.276 1.145 1.810
5.955 3.000 0.276
5.405 1.260 2.129
1.810 0.276 3.665
2.681 5.405 -1.260
0.276 3.665 1.810
4.215 3.550 2.129
3.000 0.276 5.955
3.550 2.129 4.215
2.129 5.405 1.260
1.260 7.490 -0.595
1.260 2.129 5.405
2.129 4.215 3.550
-1.260 2.681 5.405
-1.810 4.534 3.665
-0.595 1.260 7.490
0.276 5.955 3.000
2.696 2.114 -2.114
5.101 -0.291 0.291
2.114 -2.114 2.696
2.114 2.114 2.114
-2.114 2.696 2.114
0.291 5.101 -0.291
-0.291 0.291 5.101
4.519 4.519 4.519
```

The 6 most intense peaks (2θ = 15–90°), in order of falling intensity:
2θ/deg	I (rel.)
44.16	100
48.24	86
46.23	52
42.00	48
72.16	25
29.36	24


(3)
# DyHf2P3
Calculated powder diffraction line list, CuKα. Input: a crystal structure in OQMD, relaxed with PBE.
Neutral-atom scattering factors, no anomalous dispersion.

Cell and atoms:
```
DyHf2P3
1.0
3.789 0.000 0.000
-1.895 3.282 0.000
0.000 0.000 9.281
Dy Hf P
1 2 3
Cartesian
0.000 0.000 0.000
0.000 2.188 3.184
1.895 1.094 6.097
0.000 0.000 4.640
0.000 2.188 7.587
1.895 1.094 1.693
```

The 6 most intense peaks (2θ = 15–90°), in order of falling intensity:
2θ/deg	I (rel.)
33.44	100
28.86	93
48.02	71
57.00	44
80.09	31
89.63	24


(4)
# Li4Zn2NiPd
Calculated powder diffraction line list, CuKα. Input: a crystal structure in OQMD, relaxed with PBE.
Neutral-atom scattering factors, no anomalous dispersion.

Cell and atoms:
```
Li4Zn2NiPd
1.0
4.212 0.000 0.000
0.000 4.212 0.000
0.000 0.000 5.953
Li Zn Ni Pd
4 2 1 1
Cartesian
0.000 0.000 0.000
0.000 2.106 1.457
2.106 0.000 4.497
2.106 2.106 2.977
0.000 2.106 4.555
2.106 0.000 1.398
2.106 2.106 0.000
0.000 0.000 2.977
```

The 6 most intense peaks (2θ = 15–90°), in order of falling intensity:
2θ/deg	I (rel.)
25.91	100
42.95	97
50.85	45
78.72	29
68.70	17
62.37	15


(5)
# Sn4Ir3S
Calculated powder diffraction line list, CuKα. Input: a crystal structure in OQMD, relaxed with PBE.
Neutral-atom scattering factors, no anomalous dispersion.

Cell and atoms:
```
Sn4Ir3S
1.0
3.571 0.000 0.000
0.000 4.231 0.000
-0.009 0.000 10.191
Sn Ir S
4 3 1
Cartesian
0.000 0.000 0.000
0.018 2.116 2.466
0.039 2.116 7.732
1.911 0.000 5.104
1.731 2.116 0.002
1.830 0.000 2.156
1.845 0.000 8.038
0.156 2.116 5.094
```

The 6 most intense peaks (2θ = 15–90°), in order of falling intensity:
2θ/deg	I (rel.)
37.38	100
42.49	73
35.22	46
42.74	38
34.01	31
32.82	29


(6)
# LiYSnPd